Jonathan Frost was in junior high when he made up his mind to be an artist. It wasn't until over two decades later, however, that he turned his hand to children's books, with the publication of Gowanus Dogs (FSG/Foster).

Born in Ohio, Frost had some early training at the College of Art and Design in Columbus, but when it came time to choose a college he picked liberal arts over fine arts, earning a degree in philosophy at Dartmouth.

"I didn't fit in really well with the art department there," he recalls. "I liked to work figuratively and with the old masters, and everything there was design."

He found a mentor in Gary Milek, who taught drawing at evening community classes, and after graduation moved to nearby Cornish, N.H., where he tried to be a full-time artist--with less than spectacular results. "I had no idea what it took in terms of discipline," he says ruefully.

Art eventually took a back seat to carpentry when Frost (who is now divorced) got married and needed to support a wife and stepchild; it wasn't until he turned 40 that Frost decided it was now or never for his childhood dream.

1.
Computed, not measured: a relaxed structure of Pr8Ga3PtBr4 at the PBE level of DFT.

Values from the calculation:
Formation energy (no corrections) ... -964 meV/atom
V ... 476.89 Å³ per cell
Magnetic moment ... 0.000 μB per atom
Calculated total energy ... -4.717 eV per atom
Crystal system ... monoclinic

Unit cell a=8.6686 b=8.6686 c=8.8851 alpha=119.27 beta=119.27 gamma=59.90
Fractional positions:
Pr 0.2363 0.2363 0.7195
Pr 0.2361 0.7467 0.7191
Pr 0.2533 0.7639 0.2809
Pr 0.2556 0.2556 0.2666
Pr 0.7444 0.7444 0.7334
Pr 0.7467 0.2361 0.7191
Pr 0.7639 0.2533 0.2809
Pr 0.7637 0.7637 0.2805
Ga 0.0000 0.5000 0.5000
Ga 0.5000 0.0000 0.5000
Ga 0.5000 0.5000 0.5000
Pt 0.0000 0.0000 0.5000
Br 0.0000 0.0000 0.0000
Br 0.0000 0.5000 0.0000
Br 0.5000 0.0000 0.0000
Br 0.5000 0.5000 0.0000

***

2.
Computed, not measured: a relaxed structure of PrGaPtBr at the PBE level of DFT.

Values from the calculation:
Formation energy (no corrections) ... -1200 meV/atom
V ... 223.88 Å³ per cell
Magnetic moment ... 0.000 μB per atom
Calculated total energy ... -5.080 eV per atom
Crystal system ... trigonal

Unit cell a=14.0213 b=14.0213 c=14.0213 alpha=17.76 beta=17.76 gamma=17.76
Fractional positions:
Pr 0.0792 0.0792 0.0792
Pr 0.9208 0.9208 0.9208
Ga 0.3092 0.3092 0.3092
Ga 0.6908 0.6908 0.6908
Pt 0.3713 0.3713 0.3713
Pt 0.6287 0.6287 0.6287
Br 0.2093 0.2093 0.2093
Br 0.7907 0.7907 0.7907

***

3.
Computed, not measured: a relaxed structure of Pr8Ga3RhBr4 at the PBE level of DFT.

Values from the calculation:
Formation energy (no corrections) ... -914 meV/atom
V ... 476.90 Å³ per cell
Magnetic moment ... 0.000 μB per atom
Calculated total energy ... -4.749 eV per atom
Crystal system ... monoclinic

Unit cell a=8.6346 b=8.6346 c=8.9216 alpha=119.01 beta=119.01 gamma=59.91
Fractional positions:
Pr 0.2315 0.7509 0.7138
Pr 0.2321 0.2321 0.7147
Pr 0.2491 0.7685 0.2862
Pr 0.2553 0.2553 0.2656
Pr 0.7447 0.7447 0.7344
Pr 0.7509 0.2315 0.7138
Pr 0.7679 0.7679 0.2853
Pr 0.7685 0.2491 0.2862
Ga 0.0000 0.5000 0.5000
Ga 0.5000 0.0000 0.5000
Ga 0.5000 0.5000 0.5000
Rh 0.0000 0.0000 0.5000
Br 0.0000 0.0000 0.0000
Br 0.0000 0.5000 0.0000
Br 0.5000 0.0000 0.0000
Br 0.5000 0.5000 0.0000

***

Repeat the third record exactly.
Computed, not measured: a relaxed structure of Pr8Ga3RhBr4 at the PBE level of DFT.

Values from the calculation:
Formation energy (no corrections) ... -914 meV/atom
V ... 476.90 Å³ per cell
Magnetic moment ... 0.000 μB per atom
Calculated total energy ... -4.749 eV per atom
Crystal system ... monoclinic

Unit cell a=8.6346 b=8.6346 c=8.9216 alpha=119.01 beta=119.01 gamma=59.91
Fractional positions:
Pr 0.2315 0.7509 0.7138
Pr 0.2321 0.2321 0.7147
Pr 0.2491 0.7685 0.2862
Pr 0.2553 0.2553 0.2656
Pr 0.7447 0.7447 0.7344
Pr 0.7509 0.2315 0.7138
Pr 0.7679 0.7679 0.2853
Pr 0.7685 0.2491 0.2862
Ga 0.0000 0.5000 0.5000
Ga 0.5000 0.0000 0.5000
Ga 0.5000 0.5000 0.5000
Rh 0.0000 0.0000 0.5000
Br 0.0000 0.0000 0.0000
Br 0.0000 0.5000 0.0000
Br 0.5000 0.0000 0.0000

Frost began looking for a graduate program, and decided on New York City's School of Visual Arts, and it was there that a classmate introduced him to Frances Foster at Farrar, Straus & Giroux. "Frances had seen some large etchings I'd done of these wild dogs on the banks of the Gowanus Canal"--a rather blighted waterway in Brooklyn--"and she invited me to come talk with her."

He pitched an idea for a book set in Chinatown; she countered with a request for a narrative about the dogs, which surprised Frost, as he'd never thought of his Gowanus work--black-and-white images of the canal's stark industrial setting--as appropriate material for children. "It's very bleak," he says.

Nonetheless, he was happy to give it a try. "The first storyboard I submitted was 72 pages long," he recalls with a chuckle. "Frances sent me a letter saying she hadn't asked for a novel!"

With Foster's "guidance and forbearance," Frost spent nine months working up an acceptable draft. "The story ended up much friendlier and happier than the dogs I actually did know on the Gowanus Canal, only one of which survived," he says.

Frost credits Foster and associate editor Elizabeth Mikesell for their patience in helping to shape Gowanus Dogs, and to art director Filomena Tuosto as well, whose design input "made it a much stronger book."

Now living in Camden, Maine, Frost continues to work as an artist, and to help make ends meet he also manages a small commercial art gallery and teaches oil painting and etching. He's finishing the large series of Gowanus etchings he interrupted to work on Gowanus Dogs, and is also at work on another picture book, this one about beavers in the North Woods. "It's in color and I'm using egg tempera this time," he says, noting that he enjoys variety.

Happy with the warm reception accorded Gowanus Dogs, Frost says he's particularly delighted with the feedback he's received from children, including an entire class of first-graders in Brooklyn. "I got a packet of 25 letters from them," he says. "They really liked the book!"